Harvest, Halloween and Hunger

**Someone pasted records of molecules at this point:**
'''
[1]
# C3H6O2

A 2-piece molecular cluster, C3H6O2 overall (ωB97M-V/def2-TZVPD, the OMol25 dataset).

## Properties
lowest unoccupied orbital energy: 0.7 eV
calculated total energy: -268.31268 hartree
SMILES: C=CO.C=O
relative energy (zero: lowest compared OMol25 entry of this formula, charge and spin): 2.518 eV

Geometry as XYZ:
```
11
C3H6O2 | the OMol25 dataset | ωB97M-V/def2-TZVPD
C -1.895 0.903 -0.990
C -1.139 0.451 -0.002
O -0.461 1.267 0.845
H -2.267 0.302 -1.806
H -2.143 1.951 -1.120
H -1.052 -0.606 0.208
H -0.415 0.926 1.767
C 2.363 -1.303 0.292
O 1.219 -1.371 -0.061
H 2.953 -2.203 0.531
H 2.836 -0.317 0.336
```

[2]
# C29H34BaCl3FI2N4O3

C29H34BaCl3FI2N4O3 as an isolated structure (ωB97M-V/def2-TZVPD, the OMol25 dataset).

## Properties
lowest unoccupied orbital energy: -4.7 eV
calculated total energy: -3671.16718 hartree
charge: +2
relative energy (zero: lowest compared OMol25 entry of this formula, charge and spin): 0.862 eV

Geometry as XYZ:
```
77
C29H34BaCl3FI2N4O3 | the OMol25 dataset | ωB97M-V/def2-TZVPD
Ba 1.171 -1.470 2.043
C 0.986 -6.720 5.543
C 0.255 -5.408 5.245
C -1.113 -5.397 5.916
C 0.208 -5.175 3.749
C -0.950 -5.314 2.987
C -0.936 -5.121 1.610
C 0.237 -4.798 0.932
C 0.267 -4.657 -0.565
C 1.401 -4.663 1.694
C 1.380 -4.840 3.073
H 1.059 -6.883 6.619
H 1.995 -6.724 5.129
H 0.446 -7.564 5.110
H 0.847 -4.588 5.672
H -1.710 -6.261 5.617
H -1.679 -4.494 5.680
H -0.998 -5.447 6.998
H -1.881 -5.589 3.468
H -1.852 -5.248 1.044
H -0.741 -4.574 -0.969
H 0.734 -5.533 -1.018
H 0.843 -3.785 -0.877
H 2.334 -4.411 1.197
H 2.299 -4.717 3.638
I -0.583 1.040 4.278
C -2.357 -0.090 3.952
I -2.064 -2.120 3.393
H -2.917 0.402 3.167
H -2.912 -0.083 4.882
C 1.776 1.694 -5.343
C 2.347 2.404 -4.127
N 1.702 1.984 -2.877
C 2.310 1.033 -2.124
C 1.792 0.519 -0.984
C 2.452 -0.558 -0.167
O 2.062 -1.738 -0.348
O 3.053 -0.211 0.878
C 0.501 0.941 -0.517
O -0.055 0.466 0.497
C -0.130 1.980 -1.322
C -1.381 2.474 -0.935
C -2.015 3.412 -1.693
F -3.242 3.828 -1.319
C -1.440 3.930 -2.869
C -0.199 3.450 -3.245
C 0.470 2.466 -2.496
N -2.066 4.909 -3.677
C -2.296 4.614 -5.083
C -1.938 5.863 -5.900
N -2.121 7.064 -5.005
C -3.349 6.913 -4.157
C -3.102 5.785 -3.142
H 2.271 2.042 -6.248
H 0.705 1.869 -5.447
H 1.930 0.618 -5.268
H 2.272 3.489 -4.210
H 3.409 2.188 -4.021
H 3.271 0.703 -2.496
H -1.842 2.078 -0.042
H 0.258 3.862 -4.132
H -3.340 4.327 -5.260
H -1.680 3.779 -5.404
H -2.585 6.001 -6.764
H -0.899 5.868 -6.224
H -2.162 7.919 -5.559
H -1.310 7.128 -4.387
H -4.162 6.685 -4.843
H -3.558 7.863 -3.672
H -4.055 5.281 -2.965
H -2.762 6.197 -2.193
Cl 5.376 -3.357 6.057
C 4.542 -1.810 6.230
Cl 5.611 -0.465 5.832
Cl 3.881 -1.631 7.865
C 3.418 -1.800 5.297
N 2.510 -1.824 4.599
```

Please write out number 2 again, unchanged.
# C29H34BaCl3FI2N4O3

C29H34BaCl3FI2N4O3 as an isolated structure (ωB97M-V/def2-TZVPD, the OMol25 dataset).

## Properties
lowest unoccupied orbital energy: -4.7 eV
calculated total energy: -3671.16718 hartree
charge: +2
'''
**The records of molecules stop here:**

Oct 17, 2019

by Peggy Ingraham

### Unrelated to this piece: data records
<<<
The following is a quantum chemistry calculation of a molecular structure, C32H26CrNO2P2S2, from OMol25.

```
66
C32H26CrNO2P2S2 | OMol25 | wB97M-V/def2-TZVPD
Cr 1.578 -2.236 -0.454
S 4.003 -2.458 -0.223
C 3.367 -2.299 1.363
N 2.062 -2.367 1.531
C 1.670 -2.157 2.833
C 0.359 -2.116 3.297
C 0.149 -1.865 4.638
C 1.222 -1.666 5.512
C 2.529 -1.715 5.060
C 2.744 -1.956 3.709
S 4.249 -2.039 2.839
H -0.464 -2.303 2.619
H -0.861 -1.831 5.024
H 1.028 -1.483 6.560
H 3.352 -1.571 5.746
O -0.419 -2.336 -0.328
P -1.200 -1.203 -0.974
C -1.021 0.277 0.052
P 0.689 0.940 0.001
O 1.660 -0.088 -0.506
C 1.090 1.455 1.661
C 2.378 1.197 2.120
C 2.734 1.565 3.407
C 1.811 2.191 4.231
C 0.524 2.449 3.774
C 0.161 2.079 2.491
C 0.633 2.333 -1.129
C -0.247 3.399 -0.953
C -0.274 4.432 -1.873
C 0.583 4.407 -2.968
C 1.467 3.355 -3.138
C 1.493 2.314 -2.222
C -2.937 -1.569 -1.157
C -3.926 -0.586 -1.147
C -5.249 -0.934 -1.369
C -5.587 -2.260 -1.596
C -4.607 -3.241 -1.601
C -3.283 -2.900 -1.384
C -0.496 -0.892 -2.595
C -0.984 0.120 -3.416
C -0.372 0.385 -4.631
C 0.731 -0.353 -5.035
C 1.223 -1.373 -4.228
C 0.603 -1.637 -3.017
H -1.245 -0.061 1.070
H -1.735 1.058 -0.211
H 3.090 0.692 1.477
H 3.732 1.354 3.767
H 2.091 2.476 5.236
H -0.197 2.930 4.422
H -0.852 2.271 2.155
H -0.904 3.446 -0.091
H -0.955 5.260 -1.735
H 0.562 5.217 -3.685
H 2.142 3.342 -3.983
H 2.173 1.482 -2.349
H -3.684 0.454 -0.964
H -6.014 -0.170 -1.360
H -6.620 -2.531 -1.765
H -4.873 -4.275 -1.770
H -2.520 -3.669 -1.376
H -1.841 0.712 -3.117
H -0.758 1.173 -5.262
H 1.203 -0.142 -5.984
H 2.074 -1.962 -4.538
H 0.964 -2.521 -2.463
```

Results
Multiplicity: 5
Highest occupied orbital energy (spin up / spin down), Eh: -0.374 / -0.379
Charge: +1

***

The following is a quantum chemistry calculation of a molecular structure, C32H26CsF3I2N6O5S, from OMol25.

```
76
C32H26CsF3I2N6O5S | OMol25 | wB97M-V/def2-TZVPD
Cs -3.624 -1.278 23.023
I -12.280 -1.974 24.823
C -10.189 -1.929 24.823
C -9.409 -1.025 25.606
C -8.063 -0.975 25.456
I -6.826 0.168 26.687
C -7.397 -1.646 24.340
O -6.292 -1.198 23.870
C -8.077 -2.761 23.745
C -7.377 -3.739 22.750
N -6.123 -4.333 23.280
C -6.237 -5.105 24.532
C -5.153 -6.192 24.620
C -4.929 -6.722 25.895
C -3.904 -7.676 25.975
C -3.200 -8.128 24.810
C -3.493 -7.422 23.603
N -4.460 -6.459 23.543
C -9.432 -2.877 24.078
H -9.932 -0.414 26.345
H -7.104 -3.144 21.867
H -8.073 -4.510 22.406
H -5.592 -4.847 22.560
H -7.298 -5.545 24.731
H -6.041 -4.475 25.481
H -5.637 -6.511 26.801
H -3.739 -8.105 26.965
H -2.353 -8.825 24.763
H -3.034 -7.584 22.612
H -10.018 -3.577 23.399
C 1.813 1.685 25.920
C 1.727 2.695 24.899
C 0.864 2.495 23.861
C -0.142 1.453 23.936
C -0.068 0.522 24.939
C 0.999 0.556 25.892
N -1.304 1.575 23.117
N -1.321 2.321 22.112
C -2.525 2.231 21.372
C -2.706 3.246 20.365
C -3.980 3.551 19.940
C -5.054 2.796 20.340
C -4.840 1.681 21.181
C -3.609 1.405 21.692
H 2.492 1.944 26.756
H 2.426 3.552 25.014
H 0.665 3.164 22.957
H -0.894 -0.199 24.914
H 1.169 -0.242 26.620
H -1.733 3.700 20.161
>>>

For many folks, October ranks high on the list of favorite months. And why not? In many parts of the country Autumn is the most beautiful of seasons. Fall leaves explode with color, transforming the landscape and competing for attention with that proverbial “October’s bright blue weather” immortalized in Helen Hunt Jackson’s  19th century poem that is still remembered today – by many seniors anyway. Traditionally, farmers head to the fields to harvest a whole host of autumn vegetables and on other types of fields high school football players romp with reckless abandon to the cheers of fellow students, friends and family. And children of all ages start choosing costumes and preparing for Halloween. It is a holiday that reaches across cultures and generations, it seems, and has spawned more than a cottage industry. “Seasonal” stores pop up in malls, orange lights festoon the streets of many neighborhoods and bags of candy greet shoppers at the entrance of most every grocery store. Yes, it is the temporary season of fun and fruitfulness. Usually. But not always and not for everyone.

Here in Virginia and most of the Mid-Atlantic region, the leaves have gone directly to brown and the dry winds are already hurling them to the ground. Harvesting and even fall planting is only a fraction of what’s normal this time of year. It has been a dry spring and summer, hovering along the edge of an official drought but still severe enough to disrupt local agriculture. What food consumers will inevitably reap from this is higher prices, even if the increase is only slight. So much for a bountiful harvest.

But what of Halloween? It approaches this year as every year. The candy manufacturers will doubtless emerge from the season unscathed, or better. Here’s a confession. Some of us don’t really enjoy Halloween that much. In fact, we begin rolling our eyes as the mounds of treats seem to multiply year over year. I admit, I am one of those less than enthusiastic holiday greeters. But that dislike somehow evaporates when it comes to greeting the trick-or-treaters at the front door. My annual Halloween ritual seems to be a last minute run back to the store to supplement the bags of candy I already have, just on the off chance that I might “run out.” I never do. Instead, I always end up chiding myself for spending so much on sugary treats. Yes, candy is expensive. In fact, I generally waste more on candy than many seniors receive in SNAP benefits monthly. Now think about that for a moment.

Now, what does all of have to do with hunger? Looking at these three H’s together might just tell a story. And therein lies the segue to hunger – and senior hunger to be specific – the tie-in between harvest (and drought) and holidays and hunger. To use a hackneyed but true expression, senior hunger “never takes a holiday.” The most recent academic research revealed an  important fact.  In America, 7.7 million older individuals (age 60+) experienced some level of food insecurity in the most recent year for which we have statistics.

The other data show that only about 80 percent of seniors who are eligible for SNAP apply for and receive benefits. That means that 20 percent do not. To use another warn out expression, there is something wrong with that picture. In the face of this, even some of the most ardent advocates for seniors, present the glass half full argument saying we should be focusing on 80 percent “success” rate rather than the 20 percent failure. On behalf of those 20 percent only half full glass folks – or, worse, those half full to empty pantry seniors — we say it is time we pay attention to the literally millions of seniors who need our assistance. Then we need to consider just what form that assistance should take.

We don’t dispute that providing hungry elders a monthly SNAP benefit that pales against my Halloween candy expenditures will not change the world. But it will provide some tangible, if minimal, relief. An all-out campaign at the local level to identify and enroll every eligible senior is a good place to start. That is an activity that all community-based group need to be engaged in, particularly now when the poor will most certainly be the ones to suffer most if and when food prices go up on account of a less plentiful than usual harvest.

That’s the real goblin – not the small ones in cute costumes – that we should be afraid of this year. And there’s no pretending about it — or ignoring it.